
Diethyl 2-[(dimethoxy-phosphorothioyl) sulfanyl] butanedioate or MLT is a widely used in pesticides in agriculture as well as to control the pests, insects, and microbes in different government programs. MLT is a chemically stable and highly harmful organic compound for the aquatic organisms, vertebrates as well as human beings by intervening the nervous systems [1, 2]. It is reported that excess use of MLT is contaminating the groundwater, food, vegetable, and other agricultural products. These contaminated products are creating serious negative impact on health of humans, animals, and vegetations [3, 4]. The continuous exposure of MLT causes nausea, chest tightness, headache, convulsions, long-term illness, and suppress the immune system [5, 6]. Thus, sensing and monitoring of MLT is an important need for human health and environmental poisoning.

The techniques used for quantification of MLT are gas chromatography, high-performance liquid chromatography [7, 8], colorimetry [9], electrophoresis, and Raman spectroscopy [10]. These techniques are sensitive, reliable, and efficient, but they have several drawbacks like bulky size instruments, complicated operational and pretreatment process, high cost, and long analysis times. Thus, several research groups are involved in developments of different type of MLT sensor using several advanced hybrid materials. Generally, a sensor works on the basis of monitoring the induced optical, electrical, and mechanical signal generated after interaction of MLT on a sensing substrate. Among different types of sensor, electrochemical sensors are more reliable, reproducible, and commercialized. Most of the electrochemical sensors are comprised of acetylcholinesterase (AChE), an enzyme for selective oxidation. These sensors are very sensitive and accurate for detection of MLT in different samples. However, they are not useful for long-term sensing due to the poor chemical and physical stability of the enzyme. The activity of enzyme is also lost due to contamination of heavy metals and pesticide [11, 12].

Thus, the development of non-enzymatic sensors is important for the detection of MLT in harsh conditions. Representative MLT sensors are listed in Table 1 along with properties. In non-enzymatic electrochemical sensor, the change in electrochemical signal is monitored after the interaction of malathion on surface of sensing electrode. These sensors bear several disadvantages like poor selectivity and also sensitivity. The several composites with biocompatibility and catalytic properties are explored with limited feature. In this regard, we have developed a state-optimized electroactive chitosan-grafted polyaniline (CHIT-g-PANI) hybrid matrix by in situ polymerization and composite formation techniques. This hybrid matrix exhibits good interactive sites, conductivity, good stability, film-forming ability, and biocompatibility to provide promising electrochemical response toward residual MLT present in tomato available in India.

Table 1 Representative MLT sensors with sensing parameters



Chitosan (CHIT, > 75% deacetylated, Mw 120−150 K), aniline (99.5%), ammonium persulfate (APS) (99.5%), and MLT were purchased from Sigma-Aldrich and used without any further purification. The other used supplementary chemicals were of analytical grades, and solutions were prepared with Milli-Q water throughout investigation.

Preparation of chitosan-grafted-polyaniline

Initially, solution of CHIT was prepared by mixing of 1.0 g CHIT flakes in 25 mL acetic acid/water mixture (25% v/v, pH ~ 4). The solution was stirred magnetically for 2 h at room temperature, and a flake-free clear solution was obtained. The solution was stored at 4 °C in refrigerator for further use. Aniline solution was also prepared by mixing 5 mL aniline in 20 mL 0.1 M aqueous HCl solution after stirring it magnetically for 1 h at room temperature. Further, to prepare composite 10 mL of flake-free CHIT solution and 6.5 mL aniline solution were mixed in 250-mL beaker after constant stirring on a magnetic stirrer. The resultant solution was polymerized after drop by drop adding 50 mL aqueous solution of 0.1 M ammonium persulfate after maintaining the temperature at 0–5 °C on an ice-bath. After 30 min, a greenish-blue color precipitate was obtained, which was allowed to settle down over night. Finally, obtained precipitate was filtered and washed by deionized water and then dried in vacuum oven at 60 °C for 24 h. The dried copolymer was further extracted successively with m-cresol and dimethyl sulfoxide in a soxhlet apparatus for 36 h, in order to purify the copolymer.

Preparation of electrode

Five hundred milligrams of CHIT-g-PANI was dispersed in 20 mL NMP in a beaker. Thus obtained solution was casted on a corning glass slide with dimension 1 cm × 0.5 cm × 0.1 cm and using a spin coater working a 500 rpm. The obtained film was further dried in a vacuum oven and used as a electrode.


The spectroscopic analysis of obtained CHIT-g-PANI matrix was carried out using a Perkin-Elmer (RK-1310) FTIR spectrometer. The spectra were recorded in KBr phase after accumulation of 16 scan with resolution of 2 cm−1 in the range of 4000 to 400 cm−1. The particle phase, size, and structure were studied using X-ray powder diffraction pattern on the Rigaku Rotaflex, RAD/Max-200B X-ray diffractometer using CuKα (λ = 1.5405 Å) radiation at a scanning rate of 2° per min. Further, surface morphology was examined by JSM-6100 model SEM, operated at working voltage of 30 kV. Thermal gravimetric analysis was recorded on Linesis, (TA-Evaluation, V-2-3-1) thermogravimetric instrument, at heating rate of 10 °C per min and 100 mL per minute nitrogen gas flow rate.

Fabrication of sensing device

The complete setup is shown in Fig. 1. Initially, two cylindrical glass chamber A and B with 100 mL capacity were taken, which were connected with glass tube having diameter of 2 mm and length 2.0 cm using nafion membrane in between. The chamber A was used as a reference electrode, while chamber B for sensing of MLT from the developed electrode. The induced potential was measured between the sensing and reference electrode [21]. The potentiometric sensitivity was measured in a freshly prepared malathion solution filled in chamber B at different concentration (2.0 µM to 62.5 µM) at 20–25 °C after maintaining the pH by addition suitable buffer. Initially, solutions were stirred for 10 s, and potential was recorded after stabilization of the potential. A stock solution of MLT in acetone was prepared. The stock solution was further diluted by 0.1 M phosphate buffer (pH = 7) to obtained solutions of MLT with a concentration range of 10−6 M. The detection of MLT was carried out by measuring potential developed during electrochemical oxidation of MLT of concentration 2.0 µM to 62.5 µM.

Figure 1
figure 1

Schematic diagram of potentiometric sensor

The sensing was also made for real sample. In this regard, tomato was procured from the mother dairy, Delhi. It was cleaned with distilled water and chopped into small pieces. The 100 gm of chopped tomato was grilled in electric mixer for 10 min at 500 rpm to obtained pest followed by centrifuge for 15 min at 1000 rpm collection of the supernatant for analysis. The other parameters were also recorded using a similar setup after coupling requisite parameters. The used electrode was washed with acetone by dipping for 1 min and then in double-distilled water for 2–3 min and then dried in hot air oven for 30 min to explore its reusability.

Electrical conductivity

Electrical conductivity of electrode was determined by plotting IV curve. The voltages were applied with the help of 32-V Aplab regulated DC power supply, and respective current was measured using Scientech Digital Multimeter DM-97.

Physicomechanical properties

The physicomechanical properties, i.e., solvent content, thickness, swelling, and porosity of the bioelectrode, were estimated standard ASTM method as discussed in [20].

Solvent content and degree of swelling

Initially, a film of CHIT-g-PANI was cut in size of 1 cm × 1 cm with a surgical blade. The film was soaked in the 1 M aqueous solution of sodium chloride for 24 h. After then, it was taken out, blotted quickly with a Whatman filter paper to remove the surface adsorbed water, and then weighed immediately. Further, electrode was dried to a constant weight in vacuum oven over silica gel and temperature 50 °C. The solvent uptake content (% total wet weight) is calculated using Eq. 1:

$$ S = \frac{{W_{\text{w}} - W_{\text{d}} }}{{W_{\text{w}} }} \times 100 $$

where Ww is the weight of wet film and Wd is the weight of dried film.

However, the degree of swelling of electrode was estimated by the difference between the average thickness of the wet film equilibrated with NaCl solution for 24 h and that of the dry film.


Porosity (E) was calculated as the volume of solvent incorporated in the cavities present per unit electrode volume using Eq. 2:

$$ E = \frac{{W_{\text{s}} - W_{\text{d}} }}{{AL\delta_{\text{w}} }} $$

where Ws is soaked weight, Wd is dry weight, A is area, L is thickness of film, and δw is density of water.

Result and discussion

FTIR spectra

FTIR spectra of pure PANI and on CHIT-g-PANI are shown in Fig. 2 along with characteristics peaks in Table 2. The characteristic band of PANI for N=Q=N vibrations, aromatic C–N stretching, C=C, C=N of benzenoid and quinoid stretching are shifted to lower wavenumber in the CHIT-g-PANI. The lower shift in wavenumbers of composite copolymer indicates the grafting of chitosan with PANI.

Figure 2
figure 2

FTIR spectra of PANI and CHIT-g-PANI

Table 2 FTIR data and interpretation of peak

The broad IR peak at 3432 cm−1 can be assigned to the stretching mode of N–H in PANI, which slightly shifted lower at 3427 in composite due to interaction of –OH and N–H of chitosan along with appearance of a peak at and 3424 cm−1, while the intensity of broad peak quite reduced due to overlapping of O–H stretching of chitosan and N–H stretching of aniline groups at PANI. The appearance of a shoulder peak is indicating the generation of free group in hybrid matrix during grafting.

Another important observed change is the ratio of benzenoid and quinoid form due to grafting with CHIT from 0.166 to 0.4. Thus, FTIR spectra confirm the grafting, electrostatic forces, and the hydrogen bonding between the moieties of chitosan and aniline [22]. The possible grafted structure of chitosan and PANI in composite is shown in Fig. 3.

Figure 3
figure 3

Schematic diagram of CHIT-g-PANI copolymer


Figure 4 shows X-ray diffraction pattern of PANI and CHIT-g-PANI copolymer. The characteristic peaks of PANI are present at 2θ value of 20.2 and 25.6° in its spectra due to 100 and 110 plane. However, XRD pattern of CHIT-g-PANI shows peaks at 19.8°, 25.2° due to PANI and at 29.4°, 37.6°, and 43.9° due to CHIT. The shifting from 20.2° to 19.8° and 25.6° to 25.3° reveals the formation of intercalated type CHIT-g-PANI hybrid matrix due to increase in interplanar spacing of PANI matrix due intercalation of CHIT molecules[23, 24]. The separation of matrix also supports the generation of free group in hybrid than its constituents. The intensity of peaks also shows some changes. It may be due to grafting of PANI with CHIT particles, which optimized the crystallinity in hybrid matrix.

Figure 4
figure 4

XRD pattern of PANI and CHIT-g-PANI composite


The surface morphology and particle size of PANI and CHIT-g-PANI copolymer were studied using SEM. The SEM image of PANI (Fig. 5a) indicates the formation homogenous morphology with spherical particles. However, Fig. 5b indicates the binary structure of CHIT-g-PANI composite, which contains the two types of particles for chitosan and PANI both.

Figure 5
figure 5

SEM image of (a) PANI, b CHIT-g-PANI composite

Conductivity measurement

The measured electrical conductivity of PANI and CHIT-g-PANI copolymer is given in Table 3. The result indicates that electrical conductivity of copolymers was approximately in the same order than pure PANI. However, the conductivity of copolymer slightly decreases due to the incorporation of non-conducting chitosan.

Table 3 Electrical conductivity of composites

Thermal stability

TG curve of PANI and CHIT-g-PANI is shown in Fig. 6. The thermogram of PANI is indicating initial weight loss of 8–10% up to 120 °C due to the removal of moisture and adsorbed solvent. Further, a sharp decomposition of PANI proceeded with loss of 88% between 315 and 485 °C. However, CHIT-g-PANI indicates a weight loss in three steps first up to 150 °C, second between 180 and 305 °C, and last weight loss between 305 and 633 °C. The third step indicates the presence of binary matrix due to grafting of chitosan and PANI. The slow decomposition process of hybrid between 305 and 633 °C of CHIT-g-PANI was attributed to the formation binary matrix with intermolecular and intramolecular H-bonds.

Figure 6
figure 6

TG curve of PANI and CHIT-g-PANI analysis of composites

Malathion sensing

The potential variation with concentration of MLT is shown in Fig. 7. The graph is indicating a linear change in potential response in the range of 2.0 to 62.5 µM. The slope of potential curve of CHIT-g-PANI reveals the sensitivity as well as sensing response.

Figure 7
figure 7

Potential variation on CHIT-g-PANI/ITO electrode with MLT

The observed sensing response of proposed sensor is 2.26 mV µM−1 cm−2, which is much better than several earlier reported malathion sensors [Table 1]. Further, limit of detection (LOD) was calculated and found to be 3.8 µM. The change in potential of sensor was also recorded with time, and the graph is shown in Fig. 8.

Figure 8
figure 8

Potential variation on bioelectrode with time

It reveals that the potential of developed electrode continuously increases and 80% increase is found in 110 s and then becomes constant. Further, potential quickly regains its original value in 25 s regularly. Thus the response time and recovery time of sensor are 110 s and 25 s along with précised reproducibility.

Analysis of real samples

The developed sensors were also used for sensing of MLT in tomato samples for commercial application. The results are given in Table 4.

Table 4 Residual MLT sensing in Indian tomato

The results indicate the suitability of developed sensor in accordance with spectroscopic method.

Interference study

The interference of possible interfering substances on the determination of malathion was studied for 15.6 µM concentration of malathion. The electrode response was examined for 100-fold higher quantity of interferent than that of concentration of malathion. The results are given in Fig. 9, which reveals the negligible interference on the working electrode.

Figure 9
figure 9

Interference study of developed MLT sensor

Repeatability, reliability, and mechanism

This sensitivity of electrode was tested with time interval of 24 h for 45 days. The only drop of 3% sensing signal is found, which indicates the better usability than enzyme-immobilized electrode for a long time. The sensitivity of reused electrode was also tested and was found to be stable for 10 times. This indicates its reliability after satisfactory use due to nonsignificant change in signal of sensor. The sensing efficiency of electrode was decreased 2% after 50 times use.

The reported sensing mechanism of MLT is based on selective oxidation by either microbes, enzymes, or DNA. The oxidation generates electron after oxidation of MLT. However, in present case, IR spectra of electrode were recorded before and after MLT sensing to understand the sensing mechanism. The spectra are shown in Fig. 10, which indicates the presence of additional peaks at 515 along with change in position of characteristic peaks due to the interaction between MLT on CHIT-g-PANI matrix. This change in spectra indicates that the formation of free group in hybrid with expanded hybrid matrix of electrode that supports the interaction with MLT [25].

Figure 10
figure 10

FTIR spectra of CHIT-g-PANI electrode before and after MLT sensing

The formation of expanded matrix with free group is also responsible for improvement in physicomechanical properties. The observed properties are given in Table 5.

Table 5 Physico-mechanical properties of CHIT and CHIT-g-PANI

The text is interrupted by crystal structures >
____________
[1]
For Be2Al2Co, a crystal structure in Alexandria, relaxed with PBE gives the calculated powder XRD pattern in this record (copper Kα).
Kinematic intensities with the Lorentz-polarization factor, no thermal factor.

Atomic structure:
```
data_Be2Al2Co
_space_group_name_H-M_alt 'P 4/m b m'
_space_group_IT_number 127
_space_group_name_Hall '-P 4 2ab'
_cell_length_a 5.860
_cell_length_b 5.860
_cell_length_c 3.287
_cell_angle_alpha 90.00
_cell_angle_beta 90.00
_cell_angle_gamma 90.00
loop_
_atom_site_label
_atom_site_type_symbol
_atom_site_fract_x
_atom_site_fract_y
_atom_site_fract_z
Be1 Be 0.126 0.374 0.000
Al1 Al 0.174 0.674 0.500
Co1 Co 0.000 0.000 0.000
```

Peak list (10 most intense, 2θ from 10° to 90°, sorted by position)
Position (°2θ)	I (rel.)
21.45	63
34.22	18
34.84	86
41.28	100
43.69	31
44.20	42
49.17	58
55.95	18
74.52	22
77.66	28


[2]
For Be4AlCr, a crystal structure in Alexandria, relaxed with PBE gives the calculated powder XRD pattern in this record (copper Kα).
Kinematic intensities with the Lorentz-polarization factor, no thermal factor.

Atomic structure:
```
data_Be4AlCr
_space_group_name_H-M_alt 'P -3 m 1'
_space_group_IT_number 164
_space_group_name_Hall '-P 3 2"'
_cell_length_a 4.3266
_cell_length_b 4.3266
_cell_length_c 7.0115
_cell_angle_alpha 90.00
_cell_angle_beta 90.00
_cell_angle_gamma 120.00
loop_
_atom_site_label
_atom_site_type_symbol
_atom_site_fract_x
_atom_site_fract_y
_atom_site_fract_z
Be1 Be 0.0000 0.0000 0.0000
Be2 Be 0.0000 0.0000 0.5000
Be3 Be 0.1683 0.3365 0.2407
Al1 Al 0.3333 0.6667 0.5778
Cr1 Cr 0.3333 0.6667 0.9473
```

Peak list (10 most intense, 2θ from 10° to 90°, sorted by position)
Position (°2θ)	I (rel.)
12.63	75
23.75	63
25.41	37
26.98	58
35.05	34
41.75	92
45.75	100
49.51	78
50.42	29
79.06	35


[3]
For CsBe2AlH8, a crystal structure in Alexandria, relaxed with PBE gives the calculated powder XRD pattern in this record (copper Kα).
Kinematic intensities with the Lorentz-polarization factor, no thermal factor.

Atomic structure:
```
data_CsBe2AlH8
_space_group_name_H-M_alt 'R -3'
_space_group_IT_number 148
_space_group_name_Hall '-R 3'
_cell_length_a 4.4829
_cell_length_b 4.4829
_cell_length_c 25.3347
_cell_angle_alpha 90.00
_cell_angle_beta 90.00
_cell_angle_gamma 120.00
loop_
_atom_site_label
_atom_site_type_symbol
_atom_site_fract_x
_atom_site_fract_y
_atom_site_fract_z
Cs1 Cs 0.0000 0.0000 0.0000
Be1 Be 0.0000 0.0000 0.2255
Al1 Al 0.0000 0.0000 0.5000
H1 H 0.0000 0.0000 0.2809
H2 H 0.0032 0.3938 0.8737
```

Peak list (10 most intense, 2θ from 10° to 90°, sorted by position)
Position (°2θ)	I (rel.)
10.48	70
21.04	45
23.18	51
23.97	89
26.94	100
28.97	34
36.62	37
40.23	32
42.61	24
45.83	41


Diffraction record for Hg4Se. The X-ray diffraction stick pattern is theoretical, not measured: it uses the GGA-PBE geometry in Alexandria and Cu Kα.

Most intense lines, 2θ from 10° to 80°, by intensity:
| 2θ/deg | Rel. int. |
| --- | --- |
| 25.8 | 100 |
| 35.3 | 58 |
| 43.0 | 45 |
| 42.0 | 42 |
____________

The above results indicate the formation of porous matrix and large adsorption capacity with interactive sites. Thus, the sulfur atom of MLT interacts with electrode and partially transfers the electron to the CHIT-g-PANI. This partial shift of electron from MLT creates electron drift and induces potential for quantification of MLT. However, biocompatibility and large chain and porous nature of CHIT provide efficient conduction and adsorption. Furthermore, the biocompatible CHIT and porous nature of electrode support large adsorption capacity of MLT due to the formation of expanded matrix after grafting. A schematic presentation of sensing mechanism is shown in Fig. 11.

Figure 11
figure 11

Illustration of sensing mechanism

Conclusion and future outlook

An electrochemical malathion sensor-based CHIT-g-PANI copolymer has been fabricated by in situ method, and electrode was fabricated by spin coating method on ITO-coated glass. The electrochemical sensing showed a linear response to malathion concentrations ranging from 2.0 to 62.5 µM with sensitivity 2.26 mV µM−1 cm−2, response time of 8 min, and long-term stability. These results indicate that the proposed electrode also has negligible interference effect and thus could be a promising option for the development of simple non-enzymatic electrochemical portable sensors in the future.